Chalk it up to too many shows going on elsewhere in town, or maybe that people were scared to leave their houses on Friday the 13th, but whatever the reason, only thirty people showed up for the long awaited Vancouver debut of LAKE. Having just released Giving & Receiving, their third album of sumptuous, low key lounge on the super hip K Records, you’d think there would have been a lot of people eager to see them. Surprisingly, this was not the case.
Despite the potentially demoralising prospect of playing to such a sparse crowd, opening act AgesandAges seemed unperturbed. Sung with conviction by all seven members, the Portland outfit’s rich, summery harmonies were genuinely rousing as they deftly navigated through countrified ‘60s pop full of joyful, a cappella breakdowns and vibrant syncopated handclaps.
It was very telling that George Michael’s “Careless Whisper” featured on the playlist in between sets, as the ‘80s ballad epitomises the gawky but peculiarly sexy mood-lit soul that forms LAKE’s core sound. It would be easy to presume that they might reference such corny examples of pop culture by way of conforming to the tedious hipster notion that it’s good to like stuff “ironically,” or that it’s “so un-cool, it’s cool,” but LAKE seem far too unassuming and sincere for that. Instead, the band use such influences artfully, mixing it up with understated indie stylings and pensive moods, performing with such obvious affection that they don’t ever come across as cheesy or contrived.
........
Here is crystalline LuThRu2 at its relaxed geometry from the Materials Project. Energies are from GGA-PBE.

Results
The value obtained for the total energy is -8.126 eV per atom. Its symmetry is No. 225. The volume comes out at 20.52 A^3/atom. The formation energy from the elements is -506 meV per atom.

Cell lengths 4.878, 4.878, 4.878 Å; angles 60.00, 60.00, 60.00 degrees
Sites, in units of the cell vectors:
Lu 0.000 0.000 0.000
Th 0.500 0.500 0.500
Ru 0.250 0.250 0.250
Ru 0.750 0.750 0.750

=====

Record 1
Sm2Ga9Rh3 (r2SCAN, relaxed); SG = No. 63
1.0
6.4981 -3.7788 0.0000
6.4981 3.7788 0.0000
0.0000 0.0000 9.5530
Sm Ga Rh
4 18 6
direct
0.0023 0.6693 0.7500
0.3307 0.9977 0.7500
0.6693 0.0023 0.2500
0.9977 0.3307 0.2500
0.0035 0.6653 0.0767
0.0035 0.6653 0.4233
0.1296 0.8704 0.2500
0.3354 0.6646 0.5616
0.3354 0.6646 0.9384
0.3347 0.9965 0.0767
0.3347 0.9965 0.4233
0.3382 0.4558 0.2500
0.4558 0.3382 0.7500
0.5442 0.6618 0.2500
0.6618 0.5442 0.7500
0.6653 0.0035 0.5767
0.6653 0.0035 0.9233
0.6646 0.3354 0.0616
0.6646 0.3354 0.4384
0.8704 0.1296 0.7500
0.9965 0.3347 0.5767
0.9965 0.3347 0.9233
0.0000 0.0000 0.0000
0.0000 0.0000 0.5000
0.3289 0.3289 0.0000
0.3289 0.3289 0.5000
0.6711 0.6711 0.0000
0.6711 0.6711 0.5000

Record 2
ThGaRh (r2SCAN, relaxed); SG = No. 189
1.0
7.2012 0.0000 0.0000
-3.6006 6.2364 0.0000
0.0000 0.0000 4.0780
Th Ga Rh
3 3 3
direct
0.0000 0.4151 0.0000
0.4151 0.0000 0.0000
0.5849 0.5849 0.0000
0.0000 0.7664 0.5000
0.2336 0.2336 0.5000
0.7664 0.0000 0.5000
0.0000 0.0000 0.0000
0.3333 0.6667 0.5000
0.6667 0.3333 0.5000

Record 3
TmGaRh2 (r2SCAN, relaxed); SG = No. 225
1.0
0.0000 3.1726 3.1726
3.1726 0.0000 3.1726
3.1726 3.1726 0.0000
Tm Ga Rh
1 1 2
direct
0.0000 0.0000 0.0000
0.5000 0.5000 0.5000
0.2500 0.2500 0.2500
0.7500 0.7500 0.7500

Record 4
UGa5Rh (r2SCAN, relaxed); SG = No. 123
1.0
4.2996 0.0000 0.0000
0.0000 4.2996 0.0000
0.0000 0.0000 6.8767
U Ga Rh
1 5 1
direct
0.0000 0.0000 0.0000
0.0000 0.5000 0.3038
0.0000 0.5000 0.6962
0.5000 0.0000 0.3038
0.5000 0.0000 0.6962
0.5000 0.5000 0.0000
0.0000 0.0000 0.5000

Record 5
U4Ga12Rh (r2SCAN, relaxed); SG = No. 229
1.0
-4.3065 4.3065 4.3065
4.3065 -4.3065 4.3065
4.3065 4.3065 -4.3065
U Ga Rh
4 12 1
direct
0.0000 0.0000 0.5000
0.0000 0.5000 0.0000
0.5000 0.0000 0.0000
0.5000 0.5000 0.5000
0.0000 0.2911 0.2911
0.0000 0.7089 0.7089
0.2500 0.5000 0.7500
0.2500 0.7500 0.5000
0.2911 0.0000 0.2911
0.2911 0.2911 0.0000
0.5000 0.2500 0.7500
0.5000 0.7500 0.2500
0.7089 0.0000 0.7089
0.7089 0.7089 0.0000
0.7500 0.2500 0.5000
0.7500 0.5000 0.2500
0.0000 0.0000 0.0000

Record 6
YGaRh (r2SCAN, relaxed); SG = No. 62
1.0
6.8045 0.0000 0.0000
0.0000 4.3170 0.0000
0.0000 0.0000 7.6977
Y Ga Rh
4 4 4
direct
0.0251 0.2500 0.1888
0.4749 0.7500 0.6888
0.5251 0.2500 0.3112
0.9749 0.7500 0.8112
0.1564 0.2500 0.5688
0.3436 0.7500 0.0688
0.6564 0.2500 0.9312
0.8436 0.7500 0.4312
0.2281 0.7500 0.3901
0.2719 0.2500 0.8901
0.7281 0.7500 0.1099
0.7719 0.2500 0.6099

Record 7
........
LAKE’s music is not immediately striking; the subtleties of their songs often only become apparent after the third or fourth listen. Opener “Skeleton Costume” was so light and easy on the ear that it strayed perilously close to being bland; it was almost offensively inoffensive. What saved it from such a fate was the touching melancholy of multi-instrumentalist Eli Moore’s gentle vocals as he sang a deceptively pleasant tune with the decidedly heavy chorus, “Walking away from the ruins/How many bodies are buried?/Walking away from the ruins/Wearing a skeleton costume.”
**Between two parts of the piece: records of crystals**
********
Run P
VASP calculation (PBE-GGA) on MgSbF5 after structural relaxation.

a = 10.151 Å, b = 5.677 Å, c = 8.064 Å
α = 59.98°, β = 90.00°, γ = 90.00°
Fractional coordinates of all 28 atoms:
F 0.569 0.302 0.185
F 0.675 0.303 0.887
F 0.175 0.697 0.613
F 0.578 0.817 0.164
F 0.103 0.635 0.967
F 0.846 0.838 0.063
F 0.897 0.365 0.033
F 0.078 0.183 0.336
F 0.346 0.162 0.437
F 0.325 0.697 0.113
F 0.922 0.817 0.664
F 0.654 0.838 0.563
F 0.397 0.635 0.467
F 0.154 0.162 0.937
F 0.422 0.183 0.836
F 0.825 0.303 0.387
F 0.069 0.698 0.315
F 0.431 0.698 0.815
F 0.931 0.302 0.685
F 0.603 0.365 0.533
Mg 0.474 0.473 0.311
Mg 0.026 0.473 0.811
Mg 0.526 0.527 0.689
Mg 0.974 0.527 0.189
Sb 0.723 0.062 0.169
Sb 0.223 0.938 0.331
Sb 0.277 0.938 0.831
Sb 0.777 0.062 0.669

Properties
total moment: 0.0 μB/f.u.
space-group type: P2_1/c, No. 14


Run Q
VASP calculation (PBE-GGA) on MgSbF5 after structural relaxation.

a = 5.681 Å, b = 5.681 Å, c = 8.276 Å
α = 68.09°, β = 68.09°, γ = 71.40°
Fractional coordinates of all 14 atoms:
F 0.236 0.287 0.362
F 0.713 0.764 0.138
F 0.764 0.713 0.638
F 0.327 0.701 0.567
F 0.836 0.164 0.750
F 0.299 0.673 0.933
F 0.673 0.299 0.433
F 0.164 0.836 0.250
F 0.701 0.327 0.067
F 0.287 0.236 0.862
Sb 0.000 0.000 0.500
Sb 0.000 0.000 0.000
Mg 0.512 0.488 0.750
Mg 0.488 0.512 0.250

Properties
total moment: 0.0 μB/f.u.
space-group type: C2/c, No. 15


Relative stability in meV/atom, measured from the most stable structure: run P 0; run Q 92


Run P
VASP calculation (PBE-GGA) on MgTiF5 after structural relaxation.

a = 5.349 Å, b = 5.349 Å, c = 7.491 Å
α = 69.37°, β = 69.37°, γ = 72.65°
Fractional coordinates of all 14 atoms:
Mg 0.477 0.523 0.250
Mg 0.523 0.477 0.750
Ti 0.000 0.000 0.000
Ti 0.000 0.000 0.500
F 0.779 0.730 0.628
F 0.270 0.221 0.872
F 0.298 0.681 0.950
F 0.319 0.702 0.550
F 0.221 0.270 0.372
F 0.137 0.863 0.250
F 0.730 0.779 0.128
F 0.863 0.137 0.750
F 0.681 0.298 0.450
F 0.702 0.319 0.050

Properties
total moment: 1.0 μB/f.u.
space-group type: C2/c, No. 15


Run Q
VASP calculation (PBE-GGA) on MgTiF5 after structural relaxation.

a = 9.802 Å, b = 5.274 Å, c = 7.451 Å
α = 70.58°, β = 90.00°, γ = 90.00°
Fractional coordinates of all 28 atoms:
F 0.135 0.219 0.838
F 0.610 0.389 0.080
F 0.099 0.157 0.304
F 0.901 0.843 0.696
F 0.390 0.611 0.920
F 0.365 0.219 0.338
F 0.394 0.645 0.509
F 0.106 0.645 0.009
F 0.599 0.843 0.196
F 0.890 0.389 0.580
F 0.678 0.180 0.833
F 0.401 0.157 0.804
F 0.894 0.355 0.991
F 0.865 0.781 0.162
F 0.635 0.781 0.662
F 0.822 0.180 0.333
F 0.178 0.820 0.667
F 0.322 0.820 0.167
F 0.110 0.611 0.420
F 0.606 0.355 0.491
Mg 0.990 0.481 0.247
Mg 0.490 0.519 0.253
Mg 0.510 0.481 0.747
Mg 0.010 0.519 0.753
Ti 0.246 0.904 0.395
Ti 0.754 0.096 0.605
Ti 0.254 0.904 0.895
Ti 0.746 0.096 0.105

Properties
total moment: 1.0 μB/f.u.
space-group type: P2_1/c, No. 14


Relative stability in meV/atom, measured from the most stable structure: run P 0; run Q 17


Run P
VASP calculation (PBE-GGA) on ScN3F6 after structural relaxation.
********
“Madagascar,” from 2009’s Let’s Build a Roof, was perhaps their most potent distilling of laid-back swoon. Other stand-outs included “Giving & Receiving,” a truly beautiful song possibly about karma or fish, or maybe both. The tempo and mood of their set stayed consistently relaxed and only changed up a gear for their energetic reworking of the traditional folk song, “Sing 99 & 90,” which they aptly introduced as their only “rock song.”
(Next to the entry, the page also holds crystal structures)
=====
## w
A plane-wave DFT calculation with PBE with a Hubbard U was carried out for a geometry-optimized Li2VCrP2H2O10 structure.

Lattice parameters (Å, degrees): 5.1659 7.3884 15.1587 94.11 92.08 108.93
Element x y z (fractional)
Li1 0.0521 0.4754 0.2990
Li2 0.2819 0.8575 0.0340
Li3 0.3854 0.8101 0.6326
Li4 0.6146 0.1899 0.3674
Li5 0.7181 0.1425 0.9660
Li6 0.9479 0.5246 0.7010
V1 0.0000 0.5000 0.5000
V2 0.3329 0.3329 0.8336
V3 0.6671 0.6671 0.1664
Cr1 0.0000 0.0000 0.5000
Cr2 0.3336 0.8334 0.8332
Cr3 0.6664 0.1666 0.1668
P1 0.1104 0.0550 0.2867
P2 0.2228 0.2782 0.0473
P3 0.4418 0.3866 0.6202
P4 0.5582 0.6134 0.3798
P5 0.7772 0.7218 0.9527
P6 0.8896 0.9450 0.7133
H1 0.0061 0.4843 0.1469
H2 0.3271 0.8491 0.1865
H3 0.3404 0.8220 0.4804
H4 0.6596 0.1780 0.5196
H5 0.6729 0.1509 0.8135
H6 0.9939 0.5157 0.8531
O1 0.0088 0.8547 0.2351
O2 0.0488 0.8462 0.9167
O3 0.1072 0.8401 0.7203
O4 0.1439 0.2901 0.9485
O5 0.1550 0.5436 0.8166
O6 0.1763 0.7933 0.5157
O7 0.1908 0.0453 0.3855
O8 0.2258 0.4928 0.6133
O9 0.2869 0.4885 0.4156
O10 0.3243 0.4789 0.0985
O11 0.3406 0.1867 0.5678
O12 0.3819 0.1792 0.2504
O13 0.4402 0.1734 0.0540
O14 0.4781 0.6251 0.2814
O15 0.4881 0.8771 0.1499
O16 0.5119 0.1229 0.8501
O17 0.5219 0.3749 0.7186
O18 0.5598 0.8266 0.9460
O19 0.6181 0.8208 0.7496
O20 0.6594 0.8133 0.4322
O21 0.6757 0.5211 0.9015
O22 0.7131 0.5115 0.5844
O23 0.7742 0.5072 0.3867
O24 0.8092 0.9547 0.6145
O25 0.8237 0.2067 0.4843
O26 0.8450 0.4564 0.1834
O27 0.8561 0.7099 0.0515
O28 0.8928 0.1599 0.2797
O29 0.9512 0.1538 0.0833
O30 0.9912 0.1453 0.7649

Output
- Crystal system: triclinic

## x
A plane-wave DFT calculation with PBE with a Hubbard U was carried out for a geometry-optimized Li2VCrP2H2O10 structure.

Lattice parameters (Å, degrees): 5.4200 7.3740 14.3088 93.39 95.19 106.29
Element x y z (fractional)
Li1 0.0178 0.0934 0.4156
Li2 0.3160 0.2409 0.9175
Li3 0.3511 0.4257 0.7490
Li4 0.6489 0.5743 0.2510
Li5 0.6840 0.7591 0.0825
Li6 0.9822 0.9066 0.5844
V1 0.1672 0.1670 0.1665
V2 0.5000 0.0000 0.5000
V3 0.8328 0.8330 0.8335
Cr1 0.1662 0.6666 0.1667
Cr2 0.5000 0.5000 0.5000
Cr3 0.8338 0.3334 0.8333
P1 0.0308 0.6588 0.3922
P2 0.3003 0.6726 0.9417
P3 0.3653 0.9939 0.7259
P4 0.6347 0.0061 0.2741
P5 0.6997 0.3274 0.0583
P6 0.9692 0.3412 0.6078
H1 0.1060 0.8843 0.0471
H2 0.2278 0.4494 0.2864
H3 0.4388 0.2212 0.3800
H4 0.5612 0.7788 0.6200
H5 0.7722 0.5506 0.7136
H6 0.8940 0.1157 0.9529
O1 0.0375 0.7169 0.2898
O2 0.0617 0.8861 0.1127
O3 0.0777 0.8898 0.7317
O4 0.1220 0.8424 0.4621
O5 0.1264 0.8049 0.9247
O6 0.2050 0.5275 0.4092
O7 0.2096 0.4907 0.8712
O8 0.2585 0.4430 0.6019
O9 0.2716 0.4475 0.2207
O10 0.2934 0.6149 0.0440
O11 0.3707 0.0508 0.6236
O12 0.3989 0.2238 0.4462
O13 0.4120 0.2237 0.0643
O14 0.4573 0.1758 0.7962
O15 0.4602 0.1384 0.2578
O16 0.5398 0.8616 0.7422
O17 0.5427 0.8242 0.2038
O18 0.5880 0.7763 0.9357
O19 0.6011 0.7762 0.5538
O20 0.6293 0.9492 0.3764
O21 0.7066 0.3851 0.9560
O22 0.7284 0.5525 0.7793
O23 0.7415 0.5570 0.3981
O24 0.7904 0.5093 0.1288
=====
It was a shame that more people weren’t there to witness such a great show, but the resultant intimacy only served to enrich the experience for the lucky few that were there.